This work is fictitious, and any similarities to any persons, alive or dead, are purely coincidental. Mention is made of persons in public life only for the purposes of realism, and for that reason alone. Certain licence is taken in respect of medical procedures, terms and conditions, and the author does not claim to be the fount of all knowledge. The author accepts the right of the individual to hold his/her (or whatever) own political, religious and social views, and there is no intention to deliberately offend anyone. If you wish to take offence, that is your problem.
This is only a story, and it contains adult material, which includes sex and intimate descriptive details pertaining to genitalia. If this is likely to offend, then don't read it.
Unfortunately no politicians were injured or killed in the writing of this story, and no one else was either.
If you enjoyed it, then please Email me and tell me. If you hated it, Email me and lie. I will always welcome contact.
The legal stuff.
This work is the property of the author, and the author retains full copyright, in relation to printed material, whether on paper or electronically. Any adaptation of the whole or part of the material for broadcast by radio, TV, or for stage plays or film, is the right of the author unless negotiated through legal contract. Permission is granted for it to be copied and read by individuals, and for no other purpose. Any commercial use by anyone other than the author is strictly prohibited, and may only be posted to free sites with the express permission of the author.
I came round from the anaesthetic feeling very odd. My brain was not attached to my body, and I got the giggles. But then I moved, and the room started to spin, and the nausea hit me. I tried to focus on a face that swum in front of my eyes, and as I succeeded, the pain began to creep up on me from my groin.
"Fuck. Ooh, that hurts," I remembered to speak.
"Sandi, can you hear me?" this voice kept saying.
"Yes, but that fucking hurts," I said, with some feeling.
"Sandi, look at me," the voice said.
I looked at the face, and Dr Boyle swam into focus.
"It hurts, doctor," I whimpered.
"It is going to, we will get some painkillers going, but you have had major surgery."
I looked down, and I saw I was covered up. "Did it work?" I asked.
He laughed.
"Yes, it went very well. And when you are a little better, I will come and tell you what else I found."
"Else?" I asked, confused.
"Shh. Rest now, and I will see you tomorrow. The anaesthetic will make you a little drowsy and nauseous, so try no keep resting today. But you have a lot of work to do over the next week or so."
"Oh, the dilators," I said.
He smiled, "That's right, but they will take you back to your room, and you can sleep for a bit."
I remembered watching the light fittings flick past as I was wheeled back to my room, but I went to sleep before I got there.
I woke up in bed, and Jenny was sitting by the bed.
"Hi Jen," I croaked.
"How are you girl?"
I smiled.
"A girl."
"You okay?" she asked.
"Hurts like fuck, but it means it worked," I said. I looked round the room, there were flowers everywhere.
"The flowers?" I said.
She went round reading from all the cards. Everyone I knew had sent some, and I cried, and passed out again.
She was still there when I came round again an hour later.
"Sorry Jenny, it is the anaesthetic."
"It's okay. Still sore?"
I nodded. A nurse came in.
"Hi Sandi, I'm Maureen, how are you feeling?"
"Sore and sick," I said.
She looked at one of the two IV drips going into my arm.
"This one is pain relief, this tap here turns it up or down. You can do that yourself. If the pain gets too much, then turn it like this, and the other way if you start floating."
"It is morphine based, and you do not want too much."
"Oh. Leave it where it is for the moment then," I said.
There was another tube coming from my groin, which was heavily bandaged. I assumed it was a urinary catheter.
"How long do I stay plumbed in?" I asked.
"We will take the dressings off tomorrow, and see how you are doing."
I felt pretty grotty, and Jenny gave me a hug and left me alone. I dozed off.
My dreams were amazing.
The next morning the pain was still there, but the nausea was gone. I kept the pain control quite low, while I was awake it was fine, as long as I could concentrate on something.The doctor came in and spent time taking the dressing off, and examining the area. I was allowed to see and it looked like a war wound. Very swollen and sutures everywhere. They had shaved me, but it looked brilliant, I was a girl.
"Right, Sandi. You are a complicated girl, aren't you?"
"Well, you had a surprise for me. It is no wonder you had some gender confusion. You had some female reproductive organs already inside you, but not completely developed. I have not been able to conduct tests yet, but I think you are either the product of two fertilised eggs coming together as one foetus. Or, whilst developing, you never lost those female vestiges that all foetuses have at some point. You were not a true hermaphrodite, as you never had a full set of organs from each gender. However, I can tell you that your pelvis is female, and your chromosomes are XX. So legally, physically and in every other way, you are now wholly female."
I stared at him.
"But I had normal male stuff."
"Yes, but I suspect that you were sterile as a male. And, as you have a very nice set of ovaries, fallopian tubes, a womb and a cervix, I see no reason why you shouldn't live a perfectly normal life as a woman. Particularly as I have constructed everything else you will need."
"Did you use the extra skin from my penis and scrotum?"
"You didn't have very much. I used what I could, and you have a clitoris, and labia. Your vagina is partly the outer skin from your penis, and partly tissue from your colon. There is a slight risk of scar tissue forming at the join, so it is important that you persist with the dilation programme we discussed."
"What happens if scar tissue does form?"
"If you have difficulty with the larger dilators, then I may have to go in again to just make things a little neater. Otherwise you won't be able to have sex properly."
"You said that I had ovaries, are they working?"
"They are not fully developed or functioning yet. The hormone implant has had an effect, and they are at a stage of a prepubescent girl, of say eleven or so. But they are on the way, and are beginning to produce hormones of their own. I had to take the implant out, as your level of oestrogen was way too high to be healthy. I should say that you should experience menstruation in five or six weeks."
"You mean I will bleed?"
"But that means that I am.."
"It means that you are not a transsexual, you are a young woman, physiologically, psychologically, emotionally and legally. It doesn't often happen, and you are my first."
"Shit!" I said, and he laughed.
"So, lets have the packing out in a day or so, and then you can start with the dreaded dilators. If I say so myself, I don't even think your gynaecologist will be able to tell you haven't been a girl all your life."
"What would I need one of them for?"
"Well, I see no reason why you shouldn't eventually conceive and bear a child, or several, if that is your wish."
There was a rushing in my ears, and I was afraid I had misheard him.
He smiled and sat on the edge of my bed. He took my right hand, as my left had tubes in it.
"Sandi, you are a perfectly normal girl now. You had a gender disorder, but I have removed the problem, and corrected any deficiencies. I believe that you will be fertile, and therefore, I see no reason why you shouldn't have children."
The rushing got worse, and I felt light headed. I was glad that I was in bed. Tears sprang to my eyes, and laughter welled up in my chest. Both broke out together, and he smiled at me.
Never in my wildest dreams had I even considered the remotest possibility that I would ever be a mother. It was almost too much, and I wept and laughed at the same time.
Maureen came in and she and the doctor replaced my dressings, and he left me still giggling.
"So, it seems you are as surprised as the rest of us?" Maureen said.
"Just a bit," I said.
"Did you have any idea?"
"I just knew I should have been a girl. I felt right as a girl, and wrong as a boy, it is as simple as that."
"Well, I do like to see a happy ending," she said.
"This is just the beginning," I said, and she laughed.
The door opened and a bunch of flowers walked in. Dave's head peered round the side of them.
"Hi gorgeous, how are you?" he said, and I burst into tears, and Maureen left us, chuckling to herself.
Dave looked worried, as I don't think he expected that reaction.
"I'm a girl, Dave."
"I know that. I've always known that."
"No Dave, you don't understand. I am a real girl. The doctor found that I had ovaries and a womb and everything. Even my pelvis and chromosomes are female. The male bits were useless, I have always had girl bits, and now they are beginning to work."
He stared at me, his mouth open.
"Fuck me!" he said.
"Yes. I probably will," I said, simply.
"Bloody hell, Sandi, are you sure?"
********
Entry from the OMol25 dataset: 2 unconnected molecules or ions with the total composition C9H18NO4 at a distorted geometry (the ωB97M-V functional and the def2-TZVPD basis).

Last column: Löwdin charge in e.
Atoms and positions in Å:
C (-1.3547, -0.9726, 0.9076)  -0.101
C (-1.3148, 0.3934, 1.6110)  -0.253
C (-0.1777, 1.3066, 1.1632)  -0.166
C (1.2159, 1.0659, 1.8323)  -0.320
C (1.3923, -0.3002, 2.4793)  -0.073
C (2.3345, 1.2864, 0.7977)  -0.151
O (2.7328, 0.0937, 0.0904)  -0.021
C (2.3898, 0.0880, -1.2147)  -0.652
N (3.4384, 0.3127, -2.1575)  0.138
O (1.3283, -0.1240, -1.5859)  0.199
H (-0.7612, -0.9572, 0.0020)  0.065
H (-2.3620, -1.3374, 0.7605)  0.064
H (-0.8606, -1.6917, 1.5738)  0.052
H (-2.2427, 0.8879, 1.3282)  0.099
H (-1.3514, 0.2833, 2.6929)  0.092
H (-0.0763, 1.3299, 0.0846)  0.101
H (-0.4722, 2.3209, 1.4468)  0.103
H (1.3716, 1.8232, 2.6013)  0.126
H (1.4515, -1.0990, 1.7499)  0.074
H (0.5931, -0.5640, 3.1598)  0.069
H (2.3556, -0.3111, 2.9936)  0.078
H (3.2232, 1.6275, 1.3329)  0.117
H (2.0609, 2.0793, 0.1015)  0.132
H (3.7555, -0.5987, -2.4696)  0.090
H (4.1901, 0.8153, -1.6934)  0.081
C (-3.0503, -1.2026, -3.4094)  -0.065
C (-3.5537, -0.9699, -1.9671)  -0.805
O (-3.1346, 0.0635, -1.3980)  -0.103
O (-4.3283, -1.8500, -1.5239)  -0.116
H (-2.3810, -0.4025, -3.7297)  0.047
H (-2.5119, -2.1517, -3.4645)  0.051
H (-3.8999, -1.2448, -4.0956)  0.049

Summary:
HOMO energy	-3.8	eV
charge	-1

Entry from the OMol25 dataset: a molecular structure, C9H18NORb at a distorted geometry (the ωB97M-V functional and the def2-TZVPD basis).

Last column: Löwdin charge in e.
Atoms and positions in Å:
Rb (-0.8021, -2.5296, 3.8136)  0.875
C (-2.1539, -1.4415, -0.1769)  -0.075
C (-0.6421, -1.0647, -0.1781)  -0.482
C (-0.4396, -0.7042, -1.6854)  -0.148
C (0.8452, 0.1629, -1.9276)  -0.165
C (0.6964, 1.4290, -1.0438)  -0.169
C (0.4334, 1.2219, 0.4612)  -0.487
N (-0.5657, 0.1759, 0.7057)  -0.185
O (-0.8618, 0.0521, 2.1263)  -0.419
C (0.0224, 2.7378, 0.9204)  -0.037
C (1.7892, 0.9429, 1.1104)  -0.067
C (0.1825, -2.2968, 0.2465)  -0.046
H (-2.2891, -2.3094, -0.8223)  0.078
H (-2.8423, -0.6546, -0.4852)  0.081
H (-2.6156, -1.6386, 0.7906)  0.054
H (-1.3594, -0.2615, -2.0677)  0.106
H (-0.3241, -1.6767, -2.1639)  0.097
H (1.0005, 0.3951, -2.9812)  0.103
H (1.6112, -0.5110, -1.5439)  0.094
H (-0.1365, 1.8707, -1.5909)  0.111
H (1.5728, 2.0087, -1.3336)  0.111
H (-1.0606, 2.8530, 0.8776)  0.064
H (0.3780, 3.6071, 0.3674)  0.066
H (0.1169, 2.8113, 2.0038)  0.060
H (1.6493, 0.6087, 2.1384)  0.064
H (2.4740, 1.7792, 0.9697)  0.079
H (2.3006, 0.1160, 0.6177)  0.058
H (0.3286, -2.8335, -0.6909)  0.073
H (-0.4205, -2.9445, 0.8828)  0.030
H (1.1123, -1.9055, 0.6593)  0.074

Summary:
HOMO energy	-5.0	eV
charge	0

Entry from the OMol25 dataset: C9H18O5Si in the gas phase at a distorted geometry (the ωB97M-V functional and the def2-TZVPD basis).

Last column: Löwdin charge in e.
Atoms and positions in Å:
C (-0.6455, -3.2836, 0.5322)  -0.213
C (0.5694, -2.4472, 0.9647)  -0.313
********
I nodded.
He took my hand.
"Look, just know that it makes no difference to me. I love you for who you are, and that is all there is to it. But I am pleased, more for you as I know it means so much to you."
I started to cry again, he was just too nice to me.
He stayed for hours, and even sat next to me on my bed. Although the pain, or dull ache was quite bad, I kept the pain relief to a minimum as I wanted to keep morphine out of my system as much as possible.
Dave distracted me, and we watched TV and played cards together. He was so tender and loving, I kept crying and laughing. He must have thought I was really dippy.
Jenny, Mike, Caroline and Rachel arrived, and a party atmosphere blossomed. Jenny had told them that I had 'a problem down below' and I decided it was truth time. My news didn't really surprise anyone, particularly as they all thought I was a girl anyway. In fact they were more surprised that I had been a boy in the first place. A wave of euphoria hit me, and I didn't need morphine, I was on a high. But I was tired, and Maureen shooed them away so I could have a sleep. Dave promised to come back every day, and he kissed me. I ached for him again, and smiled, now I was almost ready for him.
I slept most of the afternoon, and at about four o'clock a nurse came and checked my dressings.
"That looks very clean, I think we will let you have a bit of air now. I'll take out the catheter, so you can go to the loo."
It was better without the tight bandages on, and I was allowed to walk about a bit. But I felt rather wobbly, and was not awfully adventurous. I was given a light tea, and managed to eat everything. I had a little sleep after tea, and woke up when I felt a draught.
My Dad stood there. "Hi, little love," he said.
He smiled.
"I can't stay long. I see you have coppers watching you."
"You saw them?"
"Yeah, it's easy when you know."
"Jim Randall arranged it."
"I was hoping he would. How are you?"
"Great. I was a girl after all."
He frowned, and I had to explain it to him.
"Are you pleased?" he asked.
I simply smiled and nodded.
"Good, then I'm pleased for you. You looked great in the fashion show."
"I looked for you, but you buggered off'" I said.
"Yeah, things are tricky. Frankie wants my balls."
"He can have mine, I don't have them any more'" I said, and he smiled. He looked drawn and tired.
"I'm off to the States tomorrow. I don't know if I will be back for a while.
Did you clear out the safe in my room?"
ORCA calculation (ωB97M-V/def2-TZVPD) on a 2-piece molecular cluster, C3H8NP overall.

```
13
Properties=species:S:1:pos:R:3:forces:R:3:nbo_charge:R:1
C 0.5853 -1.3801 1.1475 -0.64 0.37 -0.43 -0.42
C 1.8072 -0.9489 0.3872 -0.30 -1.75 -0.90 -0.43
C 0.4777 -0.6282 -0.1952 -0.69 -0.03 0.52 -0.42
N -2.0484 1.2605 -0.4430 -1.47 -3.09 1.17 -0.94
P -1.5745 2.5721 -0.8239 3.21 3.76 -3.28 1.08
H 0.2265 -2.4225 1.1763 0.50 0.69 0.29 0.22
H 0.2810 -0.6607 1.9550 0.34 -1.32 -0.58 0.21
H 2.5653 -0.3670 0.8061 0.45 1.73 0.72 0.21
H 2.3392 -1.6849 -0.2024 -0.27 -0.54 0.08 0.21
H -0.0425 0.2774 0.0123 0.30 0.75 -0.33 0.22
H 0.0994 -1.0883 -1.1225 0.55 -0.09 0.68 0.22
H -0.4539 2.9491 -1.8650 -1.40 -0.86 1.51 -0.07
H -2.0512 3.8606 -0.6356 -0.58 0.38 0.56 -0.06
```
Positions in Å, forces in eV/Å.

Values from the calculation:
HOMO in eV: -9.745
E_LUMO in eV: -0.53
2S+1: 1
Relative energy (zero: lowest compared OMol25 entry of this formula, charge and spin) in kJ/mol: 410.15
Structure (SMILES): N#[PH2].C1CC1
Frontier orbital gap in eV: 9.22

~~~~~

(1)
ORCA calculation (the ωB97M-V functional and the def2-TZVPD basis) on a cluster of 17 separate species, C41H86BBr32IN2O6P in total.

Values from the calculation:
Net charge = -1
Multiplicity = 1

XYZ file:
```
170
C41H86BBr32IN2O6P the ωB97M-V functional and the def2-TZVPD basis
C 1.832 0.376 -8.725
C 1.010 1.309 -7.618
C 2.056 2.312 -6.853
C 2.695 1.692 -5.456
N 2.359 2.601 -4.297
C 3.472 3.557 -3.941
I 4.856 4.267 -5.501
O 4.445 3.162 -2.869
B 4.690 4.397 -2.058
O 5.687 4.353 -0.970
C 6.658 5.463 -1.243
C 7.892 5.497 -0.114
C 7.745 4.285 1.003
O 9.182 5.411 -0.864
O 3.273 4.777 -1.718
C 2.653 4.717 -3.085
P 0.731 4.711 -3.119
N 0.169 3.492 -2.196
O 0.114 4.633 -4.779
O 0.215 6.246 -2.469
H 2.928 0.252 -8.268
H 1.301 -0.651 -8.928
H 1.933 0.920 -9.783
H 0.298 2.004 -8.277
H 0.315 0.684 -6.914
H 2.977 2.638 -7.530
H 1.468 3.304 -6.603
H 3.820 1.381 -5.541
H 2.094 0.678 -5.266
H 2.101 2.037 -3.436
H 5.024 5.384 -2.648
H 7.187 5.260 -2.293
H 6.161 6.528 -1.181
H 7.895 6.539 0.467
H 6.677 4.265 1.525
H 8.529 4.526 1.862
H 8.058 3.222 0.584
H 9.106 6.153 -1.560
H 3.029 5.712 -3.574
H -0.399 3.928 -1.408
H 0.653 5.337 -5.278
H 0.958 6.894 -2.735
Br 7.438 0.311 1.249
C 9.318 -0.165 1.039
C 10.041 -0.133 2.365
Br 10.428 1.697 2.915
H 9.739 0.520 0.298
H 9.310 -1.178 0.627
H 11.018 -0.618 2.282
H 9.478 -0.599 3.178
Br 5.400 -2.085 -2.547
C 5.961 -3.558 -1.399
C 7.136 -3.162 -0.536
Br 8.795 -3.154 -1.562
H 6.169 -4.410 -2.052
H 5.088 -3.785 -0.781
H 7.297 -3.897 0.258
H 7.032 -2.169 -0.089
Br -1.868 5.297 -0.686
C -3.602 4.977 0.146
C -3.512 3.903 1.204
Br -3.419 2.127 0.402
H -4.303 4.736 -0.659
H -3.884 5.935 0.592
H -4.416 3.890 1.819
H -2.638 4.005 1.853
Br -0.797 -0.420 -3.282
C -2.532 -0.740 -2.450
C -2.441 -1.815 -1.392
Br -2.348 -3.590 -2.194
H -3.232 -0.981 -3.255
H -2.814 0.218 -2.004
H -3.345 -1.828 -0.777
H -1.567 -1.712 -0.743
Br -3.576 3.200 5.870
C -3.180 1.727 4.655
C -4.421 1.273 3.923
Br -5.565 0.192 5.076
I told him everything that I had done, and he nodded.
"Good girl. Frankie wants £8,000,000, or I am dead."
"I thought the deal was for £5,000,000?"
"Interest, he says, I have until the end of July."
"Can you raise it?"
"Maybe, but it will be tight, and even then I reckon he wants me dead, so I am looking at alternatives."
"Like what?"
_What comes next are calculated molecules, not part of the piece_
-- begin --
1.
Entry from the Open Molecules 2025 dataset: a single C4H5N3O molecule at a distorted geometry (the ωB97M-V functional and the def2-TZVPD basis).

Each line ends with the Mulliken charge.
Positions of all 13 atoms, in Å:
C -2.65 -0.36 0.34  -0.16
C 1.21 0.04 0.07  0.50
C 1.96 -0.93 -0.45  -0.89
C -1.27 -0.51 0.42  0.34
N -3.73 -0.47 0.12  -0.33
N -0.30 0.25 -0.05  0.55
N -0.40 1.37 -0.74  -1.00
O 1.75 1.07 0.71  -0.47
H 3.06 -0.77 -0.27  0.25
H 1.57 -1.79 -0.95  0.32
H -0.96 -1.40 1.11  0.26
H -1.36 1.74 -0.79  0.22
H 1.11 1.76 0.48  0.40

Results
HOMO (alpha / beta): -9.0524 / -9.0513 eV
maximum force: 0.1106 hartree/bohr
calculated total energy: -394.7846 a.u.
energy above the lowest of the compared OMol25 structures with the same formula, charge and spin: 4.979 eV

2.
Entry from the Open Molecules 2025 dataset: a molecular structure, C19H42HoNO2P3 at a distorted geometry (the ωB97M-V functional and the def2-TZVPD basis).

Each line ends with the Mulliken spin population.
Positions of all 68 atoms, in Å:
Ho 0.04 0.36 0.01  4.05
P -0.43 0.87 -2.54  -0.02
P -2.68 -0.88 -0.10  -0.01
P 2.33 1.50 1.22  -0.01
H -0.67 -3.26 2.05  0.00
C -0.04 -2.67 2.73  0.00
C -0.51 -1.89 3.70  0.00
H -1.58 -1.80 3.91  0.00
C -0.22 -0.20 -4.01  0.00
C -2.04 1.70 -2.84  0.00
C 0.78 2.21 -2.89  0.00
C -3.38 -1.66 1.41  0.00
C -4.12 0.25 -0.34  0.00
C -3.06 -2.16 -1.34  0.00
C 2.54 1.09 3.02  0.00
C 2.17 3.32 1.33  0.00
C 4.06 1.30 0.63  0.00
H 1.03 -2.76 2.56  0.00
H 0.15 -1.22 4.24  0.00
H 0.28 0.34 -4.83  0.00
H -1.22 -0.52 -4.33  0.00
H 0.38 -1.09 -3.79  0.00
H -1.99 2.33 -3.74  0.00
H -2.30 2.33 -1.98  0.00
H -2.87 1.00 -2.96  0.00
H 0.66 2.44 -3.95  0.00
H 1.81 1.87 -2.69  0.00
H 0.59 3.10 -2.27  0.00
H -4.18 -2.35 1.08  0.00
H -3.82 -0.93 2.11  0.00
H -2.60 -2.21 1.95  0.00
H -4.94 -0.35 -0.76  0.00
H -3.85 1.05 -1.05  0.00
H -4.45 0.71 0.60  0.00
H -4.10 -2.45 -1.16  0.00
H -2.41 -3.04 -1.21  0.00
H -2.94 -1.81 -2.38  0.00
H 3.61 1.13 3.29  0.00
H 2.14 0.08 3.23  0.00
H 1.98 1.84 3.62  0.00
H 3.17 3.77 1.30  0.00
H 1.66 3.62 2.25  0.00
H 1.61 3.67 0.45  0.00
H 4.77 1.71 1.38  0.00
H 4.21 1.81 -0.34  0.00
H 4.25 0.22 0.49  0.00
C 1.85 -2.30 -0.89  0.00
C 1.83 -2.69 -2.22  0.00
C 3.05 -3.10 -2.80  0.00
C 4.20 -3.25 -2.00  0.00
C 4.16 -2.85 -0.67  0.00
C 3.00 -2.30 -0.12  0.00
O 0.70 -1.67 -0.30  -0.01
H -0.14 -1.87 -0.78  0.00
H 0.91 -2.56 -2.79  0.00
H 3.11 -3.34 -3.87  0.00
H 5.10 -3.65 -2.45  0.00
H 5.04 -3.02 -0.04  0.00
H 3.00 -1.83 0.87  0.00
C -3.15 1.99 2.61  0.00
C -1.80 2.16 2.08  0.00
N -1.19 3.34 2.14  0.00
O -1.22 1.20 1.47  0.00
H -3.27 2.59 3.52  0.00
H -3.33 0.93 2.85  0.00
H -3.90 2.34 1.88  0.00
H -0.26 3.44 1.74  0.00
H -1.56 4.07 2.71  0.00

Results
net charge: +3
HOMO (alpha / beta): -17.3991 / -17.4002 eV
maximum force: 0.0450 hartree/bohr
calculated total energy: -2925.6103 a.u.
expectation value of S²: 6.00
multiplicity: 5
energy above the lowest of the compared OMol25 structures with the same formula, charge and spin: 0.052 eV

3.
-- stop --
_The piece goes on_
"Frankie is into a deal in New York. Drugs, so maybe I can help the FBI and get into a witness protection programme."
"Don't we do that over here?"
"I'm too well known. Besides, I'm wanted for murder now."
I was silent, as I had forgotten that.
"Look Sandi, I am so fucking sorry. I never meant for you to get dragged into this. When I saw those bastards with you, I just decided to do the only thing I could."
"You didn't have to, I was fooling them. They thought I was just the bloody maid."
"They wouldn't have stayed fooled for long."
"Why don't you sell all the properties abroad?"
"What for, I'd still need a good five million on top. No, Frankie wants me dead, but he is hoping to have the cash as well."
I looked pained.
"Are you okay love?"
"No, I'm fucking not. I'm in pain, I feel like shit, my world has been turned upside down, and my Dad is a bloody crook, and I am going to lose him, and I have only just got to know him!" I said, and the tears started again. He came and sat down on the bed next to me.
"I'm so sorry."
"Sorry doesn't make it better," I said, and he looked miserable.
"Look Dad, Mum had a go at you, and you didn't bloody listen, and you lost her. But I lost her too, and that bloody hurts. Now you say you are sorry, well so what. Unless you change, you will lose me too."
"I will, as soon as I square off Frankie."
"Dad, there will always be a Frankie. Who are you trying to kid?"
"Honest, this is the last one."
"How often did you say that to Mum?"
He went quiet and looked down.
"Too bloody often!"
I stared at him.
He smiled.
"You are so like your Mum, it hurts me to look at you."
"I don't want you to die, Dad, you are all I have left."
Tears came to his eyes.
"I love you so much," he said.
"Yeah," I said, the sarcasm creeping into my voice.
"Sandi, I do. Really!"
"I love you too Dad, but you have to stop."
"I will, I promise."
"Now Dad."
"I can't. I have to sort things out."
Tears fell from my eyes, and he reached out and stroked my cheeks.
"Hey. I'll call you on your mobile. You still have it don't you?"
I nodded.
"I had better go. I'm glad you are on the mend, and I hope this blows over. I want to see you grow up."
"Duh. Dad, I am grown up."
"Then I'd like to see my grandchildren."
I cried some more.
He kissed me and left as silently as he had come. I turned my face to the pillow and wept.
I was determined to get out as soon as possible, and on the 20th July, after five days I was released. I continued my dilation exercises religiously, and after weeks of hard graft, I was delighted when number five (the big one.) slipped up without any pain or blockage.
Dave had gone to the States with Mike for a grand tour, and so Jenny and I were working in the busy hotel, and flirting with any juicy blokes we could find. Mr Boyle had completed a certified note so I was legally female, and therefore entitled to have my birth certificate changed to read female. I made sure everything else was changed as well. I applied for my passport as Alexandra Lake, and was pleased as punch when it arrived.
I went back for a check up on the 1st August, and Mr Boyle declared himself delighted with my progress. I was very happy to hand back the dilators that I had 'borrowed'.
"Have you bled yet?"
I shook my head.
"Any sore tummies?"
I frowned.
"What kind?"
He gently placed his hands on my abdomen, either side of my navel, and slightly above.
"Yeah, a little. A couple of days ago. I thought it was my tummy muscles after playing tennis."
"That, my girl, was you ovulating. Expect a visitor in a little while."
"And, what contraception method are you planning?"
I stared at him and he smiled.
"I thought so. The tests on your ovaries show you are fertile, so unless you are careful, you will be a mummy."
"You are almost completely healed now, but to be safe I would leave it for another month at least. If you see your GP, then it takes a month for the pill to kick in. I have written a letter to her so she knows which one would be best for you."
"Oh," I repeated.
"I met your boyfriend, is he still around?"
"He's in the States."
"Oh," he said, and I laughed.
"How are things between you?"
"I'll have to wait for him to come back."
"How long is he away?"
"Too long, three months."
"Oh, do you miss him?"
"Silly question," I said, and smiled.
"Well, be careful. You are still fragile, and you don't want to rupture anything at this stage."
"I will be. I am not desperate to lose my virginity. It is something that I can lose only once, so I want it to be special and with someone I really love."
"Sensible girl. Well, I am done with you for the time being. If you have any problems down there, then call my secretary. Otherwise, I am sure that Dr Shepherd will be able to cope."
"Thanks so much," I said. He stood up, and I shook his hand. He kissed me on both cheeks. "I am sure I will see you in the papers and on TV soon. Beauty like yours can never be hidden for long."
I blushed, and said goodbye.